Next, return the whole of the rows further down with every line break kept.

<<<
Computed, not measured: C29H56F6N7O2PRuSSbSi4 as an isolated structure, with ωB97M-V with the def2-TZVPD basis set.

Results
E_HOMO (alpha / beta) (eV): -12.97 / -13.15
Multiplicity: 6
Total energy (hartree): -4504.1224
Gap between HOMO and LUMO (alpha / beta) (Eh): 0.310 / 0.216
Charge: +2

Atoms and positions in Å:
C (-1.67635, 3.20875, 1.11201)
H (-2.87759, -3.31234, 2.09879)
H (0.86763, 1.05510, -4.47013)
F (-2.33282, -1.05820, 4.01492)
H (-5.70783, -0.48892, -2.04868)
H (-5.21110, 0.03478, 1.16675)
H (2.56111, 2.59318, -2.55295)
H (4.05888, 4.21411, 5.78461)
H (-3.58523, -3.86904, -3.69676)
Sb (2.38097, 0.99043, 2.98901)
C (-2.53679, 2.30060, -3.15308)
C (1.44580, 2.11454, 6.23205)
F (-2.82653, 1.09482, 3.45092)
H (-3.50223, 2.64388, -2.81413)
H (-0.45264, 2.67818, -5.79477)
H (-2.14367, -1.78168, 2.02779)
Ru (-0.94766, -0.00338, -0.06073)
C (2.14092, -2.05221, -1.14522)
H (1.19017, 5.17837, 4.72353)
H (-4.36336, 3.35379, -0.96344)
H (5.66481, -1.29205, 5.13076)
H (4.50367, 0.66120, -4.48627)
H (3.97787, 3.60572, -2.82354)
C (2.52899, -2.27974, 4.57339)
H (4.43764, 3.85163, 4.10299)
O (0.08726, 1.82674, 0.24826)
H (-4.13157, -0.58227, -2.84481)
C (-2.33703, -3.28702, -2.09998)
C (2.88301, -0.93532, -1.42488)
C (-0.33595, 2.94986, 0.53746)
Si (3.71397, -1.16133, 3.67839)
H (5.86585, -0.12865, -3.67896)
C (-0.81972, 2.32781, -4.84044)
H (0.04430, 0.24747, -2.31843)
H (-4.37615, -1.31426, 0.41112)
H (0.21334, 4.03873, 3.79581)
C (-0.54217, 0.98419, -2.86794)
C (1.24000, -2.06685, -0.03298)
N (3.58235, -0.03087, -1.62768)
C (-2.04961, 2.75956, -4.36326)
F (-1.22081, -0.06542, 2.27833)
H (-5.82299, 2.46712, -0.55699)
C (-1.78806, 1.40786, -2.37017)
H (-2.09948, -5.67952, -4.57166)
P (-1.51713, 0.31891, 3.93315)
H (5.67801, 0.25515, 4.28526)
H (6.54271, 0.53227, -0.74166)
C (1.23269, 4.34708, 4.01541)
H (-2.50248, -5.99043, -2.89199)
H (3.68625, -2.43447, 1.54065)
H (0.51343, 4.31458, -0.80720)
H (1.69828, -2.59543, 3.94326)
H (1.15730, 2.88690, 6.95136)
H (4.62084, 0.01026, 5.68665)
H (5.98429, 1.56109, -4.16470)
H (-2.01964, -3.21620, -4.15551)
H (3.08656, -3.16834, 4.88371)
H (-5.15128, 0.84410, -3.04927)
H (6.59151, 2.28500, -0.91955)
H (0.54907, 1.55529, 5.97173)
N (0.83175, -3.24600, 0.43988)
O (0.84611, -0.98929, 0.51327)
H (0.23174, 5.01704, 0.79456)
C (4.00688, 3.43906, 5.01523)
H (1.58370, 3.87468, 0.51837)
H (5.44973, 1.55546, 0.20695)
N (-2.26690, -2.69048, 1.59174)
C (-1.97401, -5.30633, -3.55772)
C (5.30769, 0.80395, -3.76358)
H (-3.50322, -0.16158, 1.44526)
F (-0.14444, -0.47687, 4.26984)
C (5.92786, 1.43219, -0.76726)
C (-4.27788, -0.26320, 0.68340)
C (-4.82629, 0.08759, -2.33640)
H (0.20702, -3.25784, 1.23492)
C (2.45245, -3.26093, -1.82684)
N (-1.81442, -2.13661, -1.87771)
Si (2.22011, 2.96723, 4.77357)
H (1.71421, 4.71545, 3.10858)
H (4.97485, -1.21472, 1.52899)
S (-2.83803, -4.11623, -0.64195)
C (5.03579, -0.46247, 4.79610)
Si (4.66215, 1.35665, -2.12090)
C (-2.27068, -2.75204, 0.24302)
H (2.11417, -1.81213, 5.46557)
H (-0.91247, -5.34002, -3.31324)
C (-4.74431, 2.51434, -0.38539)
H (-1.54488, 3.75508, 2.04891)
H (-2.22328, 3.87501, 0.43971)
H (5.16050, -2.69589, 2.46292)
H (3.44180, 3.28029, -1.17771)
H (4.62380, 2.60499, 5.34886)
N (-2.25213, 0.92294, -1.15189)
N (-1.77388, -1.82139, -0.54181)
N (2.62754, -4.27174, -2.34681)
H (-4.60209, 2.73521, 0.67360)
H (1.18387, -4.11527, 0.06832)
Si (-4.04537, 0.82996, -0.80968)
C (4.44024, -1.93668, 2.14682)
H (-2.64219, 3.45188, -4.94534)
C (-0.07414, 1.42770, -4.08955)
H (-2.23838, 2.30171, 1.30478)
F (-0.63761, 1.66703, 3.68262)
F (-1.75284, 0.67356, 5.44521)
C (-2.51943, -3.88429, -3.45376)
C (3.55042, 2.84304, -2.17085)
H (2.15619, 1.45094, 6.72622)
C (0.55264, 4.12216, 0.26881)


Entry 1:
C5H8S2 | ωB97M-V/def2-TZVPD

Geometry as XYZ:
```
15
Properties=species:S:1:pos:R:3:nbo_charge:R:1
C 1.6732 1.3349 -1.0775 -0.374
C 0.7449 0.4147 -0.8817 -0.182
C 0.0523 0.2167 0.4236 -0.300
C 0.5002 -1.0812 1.0901 -0.605
C -1.5812 0.1039 0.1913 -0.296
>>>

Computed, not measured: C29H56F6N7O2PRuSSbSi4 as an isolated structure, with ωB97M-V with the def2-TZVPD basis set.

Results
E_HOMO (alpha / beta) (eV): -12.97 / -13.15
Multiplicity: 6
Total energy (hartree): -4504.1224
Gap between HOMO and LUMO (alpha / beta) (Eh): 0.310 / 0.216
Charge: +2

Atoms and positions in Å:
C (-1.67635, 3.20875, 1.11201)
H (-2.87759, -3.31234, 2.09879)
H (0.86763, 1.05510, -4.47013)
F (-2.33282, -1.05820, 4.01492)
H (-5.70783, -0.48892, -2.04868)
H (-5.21110, 0.03478, 1.16675)
H (2.56111, 2.59318, -2.55295)
H (4.05888, 4.21411, 5.78461)
H (-3.58523, -3.86904, -3.69676)
Sb (2.38097, 0.99043, 2.98901)
C (-2.53679, 2.30060, -3.15308)
C (1.44580, 2.11454, 6.23205)
F (-2.82653, 1.09482, 3.45092)
H (-3.50223, 2.64388, -2.81413)
H (-0.45264, 2.67818, -5.79477)
H (-2.14367, -1.78168, 2.02779)
Ru (-0.94766, -0.00338, -0.06073)
C (2.14092, -2.05221, -1.14522)
H (1.19017, 5.17837, 4.72353)
H (-4.36336, 3.35379, -0.96344)
H (5.66481, -1.29205, 5.13076)
H (4.50367, 0.66120, -4.48627)
H (3.97787, 3.60572, -2.82354)
C (2.52899, -2.27974, 4.57339)
H (4.43764, 3.85163, 4.10299)
O (0.08726, 1.82674, 0.24826)
H (-4.13157, -0.58227, -2.84481)
C (-2.33703, -3.28702, -2.09998)
C (2.88301, -0.93532, -1.42488)
C (-0.33595, 2.94986, 0.53746)
Si (3.71397, -1.16133, 3.67839)
H (5.86585, -0.12865, -3.67896)
C (-0.81972, 2.32781, -4.84044)
H (0.04430, 0.24747, -2.31843)
H (-4.37615, -1.31426, 0.41112)
H (0.21334, 4.03873, 3.79581)
C (-0.54217, 0.98419, -2.86794)
C (1.24000, -2.06685, -0.03298)
N (3.58235, -0.03087, -1.62768)
C (-2.04961, 2.75956, -4.36326)
F (-1.22081, -0.06542, 2.27833)
H (-5.82299, 2.46712, -0.55699)
C (-1.78806, 1.40786, -2.37017)
H (-2.09948, -5.67952, -4.57166)
P (-1.51713, 0.31891, 3.93315)
H (5.67801, 0.25515, 4.28526)
H (6.54271, 0.53227, -0.74166)
C (1.23269, 4.34708, 4.01541)
H (-2.50248, -5.99043, -2.89199)
H (3.68625, -2.43447, 1.54065)
H (0.51343, 4.31458, -0.80720)
H (1.69828, -2.59543, 3.94326)
H (1.15730, 2.88690, 6.95136)
H (4.62084, 0.01026, 5.68665)
H (5.98429, 1.56109, -4.16470)
H (-2.01964, -3.21620, -4.15551)
H (3.08656, -3.16834, 4.88371)
H (-5.15128, 0.84410, -3.04927)
H (6.59151, 2.28500, -0.91955)
H (0.54907, 1.55529, 5.97173)
N (0.83175, -3.24600, 0.43988)
O (0.84611, -0.98929, 0.51327)
H (0.23174, 5.01704, 0.79456)
C (4.00688, 3.43906, 5.01523)
H (1.58370, 3.87468, 0.51837)
H (5.44973, 1.55546, 0.20695)
N (-2.26690, -2.69048, 1.59174)
C (-1.97401, -5.30633, -3.55772)
C (5.30769, 0.80395, -3.76358)
H (-3.50322, -0.16158, 1.44526)
F (-0.14444, -0.47687, 4.26984)
C (5.92786, 1.43219, -0.76726)
C (-4.27788, -0.26320, 0.68340)
C (-4.82629, 0.08759, -2.33640)
H (0.20702, -3.25784, 1.23492)
C (2.45245, -3.26093, -1.82684)
N (-1.81442, -2.13661, -1.87771)
Si (2.22011, 2.96723, 4.77357)
H (1.71421, 4.71545, 3.10858)
H (4.97485, -1.21472, 1.52899)
S (-2.83803, -4.11623, -0.64195)
C (5.03579, -0.46247, 4.79610)
Si (4.66215, 1.35665, -2.12090)
C (-2.27068, -2.75204, 0.24302)
H (2.11417, -1.81213, 5.46557)
H (-0.91247, -5.34002, -3.31324)
C (-4.74431, 2.51434, -0.38539)
H (-1.54488, 3.75508, 2.04891)
H (-2.22328, 3.87501, 0.43971)
H (5.16050, -2.69589, 2.46292)
H (3.44180, 3.28029, -1.17771)
H (4.62380, 2.60499, 5.34886)
N (-2.25213, 0.92294, -1.15189)
N (-1.77388, -1.82139, -0.54181)
N (2.62754, -4.27174, -2.34681)
H (-4.60209, 2.73521, 0.67360)
H (1.18387, -4.11527, 0.06832)
Si (-4.04537, 0.82996, -0.80968)
C (4.44024, -1.93668, 2.14682)
H (-2.64219, 3.45188, -4.94534)
C (-0.07414, 1.42770, -4.08955)
H (-2.23838, 2.30171, 1.30478)
F (-0.63761, 1.66703, 3.68262)
F (-1.75284, 0.67356, 5.44521)
C (-2.51943, -3.88429, -3.45376)
C (3.55042, 2.84304, -2.17085)
H (2.15619, 1.45094, 6.72622)
C (0.55264, 4.12216, 0.26881)


Entry 1:
C5H8S2 | ωB97M-V/def2-TZVPD

Geometry as XYZ:
```
15
Properties=species:S:1:pos:R:3:nbo_charge:R:1
C 1.6732 1.3349 -1.0775 -0.374
C 0.7449 0.4147 -0.8817 -0.182
C 0.0523 0.2167 0.4236 -0.300
C 0.5002 -1.0812 1.0901 -0.605
C -1.5812 0.1039 0.1913 -0.296